• Given:
-- begin --
# 1
The following is a quantum chemistry calculation of C24H23NO4S in the gas phase, from OMol25.

Structure (XYZ):
```
53
Properties=species:S:1:pos:R:3:mulliken_charge:R:1
C -3.5463 -4.8363 -3.3050 -0.932
O -2.2259 -4.6967 -3.7630 -0.471
C -1.4911 -3.6125 -3.3457 1.371
C -1.9947 -2.6497 -2.4797 -0.493
C -1.2439 -1.5529 -2.0903 -0.133
C 0.0547 -1.4092 -2.5568 0.136
C 0.5724 -2.3709 -3.4052 -0.592
C -0.1702 -3.4748 -3.8138 0.234
O 0.5057 -4.3086 -4.6533 -0.473
C -0.0513 -5.5242 -5.0985 -0.767
C 0.8395 -0.1796 -2.2047 -0.554
C 0.5426 0.9270 -3.2285 -1.308
N 0.5567 0.2876 -0.8464 0.188
C 1.4502 1.1499 -0.3097 0.589
O 2.4033 1.5802 -0.9396 -0.637
C 1.2430 1.5752 1.0947 0.012
C 1.0762 0.8326 2.2337 -0.958
C 1.0832 1.6201 3.3975 0.209
C 1.2613 2.9559 3.1380 0.468
S 1.4419 3.2603 1.4478 -0.394
C 1.2339 3.9309 4.1973 1.324
C 1.5434 5.2761 4.0301 -0.619
C 1.4402 6.1555 5.0903 -0.744
C 1.0143 5.6963 6.3270 -0.405
C 0.7067 4.3600 6.5130 -0.571
C 0.8243 3.4637 5.4593 -0.159
O 0.4697 2.1678 5.6895 -0.529
C 0.9652 1.1623 4.8179 -0.499
C -0.6081 -0.2080 -0.1481 -0.673
C -1.7422 -0.5229 -1.1232 -1.309
H -3.5888 -4.9468 -2.2164 0.336
H -4.1731 -3.9925 -3.6118 0.343
H -3.9187 -5.7474 -3.7716 0.256
H -2.9994 -2.7414 -2.0985 0.457
H 1.5800 -2.2883 -3.7814 0.493
H -0.3050 -6.1826 -4.2651 0.282
H 0.7301 -5.9875 -5.7012 0.288
H -0.9382 -5.3635 -5.7146 0.253
H 1.9150 -0.3908 -2.2495 0.589
H 0.8028 0.5760 -4.2232 0.359
H 1.1393 1.8041 -2.9952 0.412
H -0.5106 1.1949 -3.2170 0.320
H 0.9793 -0.2381 2.2407 0.520
H 1.8606 5.6155 3.0550 0.399
H 1.6850 7.1975 4.9531 0.392
H 0.9247 6.3816 7.1563 0.373
H 0.3727 3.9910 7.4699 0.426
H 1.9531 0.8286 5.1830 0.218
H 0.2676 0.3241 4.9088 0.402
H -0.3563 -1.1314 0.3927 0.195
H -0.9300 0.5423 0.5784 0.626
H -2.0378 0.3890 -1.6478 0.327
H -2.6072 -0.8894 -0.5691 0.424
```

## Properties
Net charge ... 0
E_LUMO ... 0.265 eV
HOMO ... -7.9 eV
SMILES string ... COc1cc2c(cc1OC)[C@@H](C)N(C(=O)c1cc3c(s1)-c1ccccc1OC3)CC2
Molecular weight ... 421.52 g/mol
Kohn-Sham gap ... 8.13 eV

---

# 2
The following is a quantum chemistry calculation of C4H7N3O2 in the gas phase at a distorted geometry, from OMol25.

Structure (XYZ):
```
16
Properties=species:S:1:pos:R:3:mulliken_charge:R:1
C -1.4158 0.9183 0.5488 -0.075
C 0.6836 0.7537 -1.8630 0.431
C -1.2388 -0.6009 0.5390 -0.642
C 0.6244 0.9639 -0.3684 0.238
N -0.4623 1.6188 0.1355 -0.461
N 0.1277 -0.9362 0.2737 -0.137
N 0.8142 -1.2714 1.4161 -0.684
O 0.3679 1.5818 -2.6660 -0.527
O 1.1324 -0.4578 -2.2002 -0.539
H -2.3351 1.3640 0.8926 0.424
H -1.5948 -1.0143 1.4887 0.383
H -1.8562 -0.9815 -0.2821 0.284
H 1.5801 1.2058 0.0851 0.315
H 1.7883 -1.4614 1.2123 0.232
H 1.0769 -1.0468 -1.4175 0.535
H 0.7078 -0.6361 2.2055 0.224
```

## Properties
Net charge ... 0
E_LUMO (alpha / beta) ... 0.636 / 0.636 eV
HOMO (alpha / beta) ... -8.4 / -8.4 eV
Molecular weight ... 129.12 g/mol
Kohn-Sham gap (alpha / beta) ... 8.99 / 8.99 eV

---

# 3
The following is a quantum chemistry calculation of a molecular structure, C43H43CsN12O2 at a distorted geometry, from OMol25.

Structure (XYZ):
```
101
Properties=species:S:1:pos:R:3:mulliken_charge:R:1
Cs 1.1902 0.1634 -1.3324 1.212
O 2.0300 -1.7886 -2.7120 -0.781
C 3.1334 -1.9278 -2.0972 -0.389
N 4.1587 -1.1398 -1.9910 -0.518
C 4.2321 0.0624 -2.7392 0.812
C 4.5700 0.0010 -4.0905 -0.179
C 4.7955 1.1413 -4.8477 -0.624
C 4.6974 2.3885 -4.2437 -0.678
C 4.3628 2.4804 -2.9025 -0.455
C 4.1115 1.3413 -2.1258 -0.138
N 3.6033 1.4136 -0.8336 0.019
C 3.9655 2.3219 0.0480 -0.423
O 4.9156 3.1296 0.0660 -0.793
C 3.0182 2.3135 1.2400 0.220
C 3.3303 1.6292 2.4133 -0.467
C 2.4084 1.5958 3.4423 -0.230
C 1.2038 2.2661 3.2781 -0.528
C 0.9895 2.9399 2.0871 -0.374
N 1.8674 2.9729 1.0866 -0.127
C 3.2191 -3.2379 -1.3462 0.121
C 3.6624 -4.3900 -2.0023 -0.603
C 3.6218 -5.6002 -1.3441 -0.368
C 3.1167 -5.6380 -0.0476 -0.961
C 2.7001 -4.4485 0.5183 -0.117
N 2.7630 -3.2663 -0.0971 0.365
H 4.6601 -0.9834 -4.5370 0.370
H 5.0476 1.0560 -5.8989 0.342
H 4.8768 3.2913 -4.8181 0.331
-- stop --

• Work order:
The reader should filter the contents further above: keep the lines with the word "the".

• Outcome:
The following is a quantum chemistry calculation of C24H23NO4S in the gas phase, from OMol25.
The following is a quantum chemistry calculation of C4H7N3O2 in the gas phase at a distorted geometry, from OMol25.